So what's up for grabs?
Being the first female werecat enforcer isn't easy. Scars accumulate, but I'm stronger in so many ways.
As for my personal life? It's complicated. Choices worth making always are. Ever since my brother's death and my father's impeachment, it's all I can do to prevent more blood from spilling. Now our Pride is under attack by a flight of vicious thunderbirds. And making peace with our new enemies may be the only way to get the best of our old foe.
With the body count rising and treachery everywhere, my instincts tell me to look before I leap. But sometimes a leap of faith is the only real option...
(Summary from goodreads.)
I wish I had more to give away, but unless you guys want random Saskatchewan library bookmarks, I'm all out of stuff.
There will be four winners chosen.
Winner number one will receive Shift and a bottle of nail polish.
Winners number two, three, and four will each receive a bottle of nail polish.
This contest is going to be *gulp* open internationally until... how about five weeks? Which is *checks calendar because it's 6am* April 29th. Sounds good to me.
********
Starting from DFT lattice parameters and positions (GGA+U), the powder diffractogram of NpMnIrO6 was computed for CuKα.
Intensities are scaled so that the largest is 100.

Top 10 peaks for 10° ≤ 2θ ≤ 80°, sorted by position:
d [Å], Rel. int., h k l
4.843, 81, 0 0 2
4.483, 35, 1 0 0
3.290, 100, 1 0 2
2.588, 67, 1 1 0
2.283, 72, 1 1 2
2.034, 26, 2 0 2
1.768, 65, 1 1 4
1.599, 24, 2 1 2
1.494, 21, 3 0 0
1.428, 17, 3 0 2

Structure:
a b c (Å): 5.177 5.177 9.686
angles (deg): 90.00 90.00 120.00
Positions (direct):
Np  0.333  0.667  0.250
Np  0.667  0.333  0.750
Mn  0.000  0.000  0.000
Mn  0.000  0.000  0.500
Ir  0.333  0.667  0.750
Ir  0.667  0.333  0.250
O  0.008  0.343  0.631
O  0.008  0.665  0.869
O  0.335  0.343  0.869
O  0.335  0.992  0.631
O  0.343  0.008  0.131
O  0.343  0.335  0.369
O  0.657  0.665  0.631
O  0.657  0.992  0.869
O  0.665  0.008  0.369
O  0.665  0.657  0.131
O  0.992  0.335  0.131
O  0.992  0.657  0.369

----------

This entry pairs a crystal structure of PrYGa6 with its calculated powder diffraction line list. Radiation: copper Kα. Structure: the PBE geometry in OQMD.
Peak positions follow from Bragg's law for the DFT cell and can differ from measured ones.

Structural model:
```
PrYGa6
1.0
6.342 0.000 0.000
-3.171 5.492 0.000
0.000 0.000 4.610
Pr Y Ga
1 1 6
Direct
0.000 0.000 0.000
0.667 0.333 0.500
0.037 0.518 0.000
0.186 0.372 0.500
0.186 0.814 0.500
0.482 0.518 0.000
0.482 0.963 0.000
0.628 0.814 0.500
```

Peak list (10 most intense, 2θ from 10° to 80°, most intense first)
2θ (°)  I (rel.)
38.14  100
32.61  26
39.08  22
72.33  17
58.19  16
70.18  16
51.78  14
71.72  12
25.22  11
43.60  6

----------

Cs2Sb2Pt3: calculated X-ray powder pattern (λ = 1.5418 Å (Cu Kα)), based on a DFT-relaxed cell (PBE, OQMD).
Kinematic intensities with the Lorentz-polarization factor, no thermal factor.

Structure:
```
7
Lattice="2.284 1.318 12.319 -2.284 1.318 12.319 0.000 -2.637 12.319" Properties=species:S:1:pos:R:3 pbc="T T T"
Cs 0.000 0.000 0.000
Cs 0.000 0.000 18.358
Sb 0.000 0.000 9.187
Sb 0.000 0.000 27.486
Pt 0.000 0.000 14.990
Pt 0.000 0.000 21.926
Pt 0.000 0.000 33.352
```

Most intense lines, 2θ = 10–80°, by angle:
d/Å  I/Imax
6.159  89
3.080  52
3.004  55
2.700  45
2.284  100
2.141  38
1.834  70
1.674  30

----------

[1]
Structure and calculated PXRD pattern of SrCaZnSi2O7 (the GGA-PBE geometry in the Materials Project; Cu Ka).

Cell lengths 5.1333, 8.0137, 8.0059 Å; angles 90.00, 90.89, 90.00 degrees
Space group P2_1 (No. 4)
Symmetry-distinct sites (fractional):
Sr1 0.0078 0.0000 0.0855
Ca1 0.0030 0.6635 0.4200
Zn1 0.5003 0.3369 0.2520
Si1 0.4397 0.4761 0.6046
Si2 0.4444 0.1967 0.8838
O1 0.2420 0.6970 0.1160
O2 0.2460 0.9792 0.3972
O3 0.2808 0.4198 0.4333
O4 0.2900 0.0258 0.8252
O5 0.2903 0.6487 0.6621
O6 0.3009 0.2563 0.0565
O7 0.3292 0.3343 0.7417

Principal peaks in the range 10° ≤ 2θ ≤ 90°, in order of rising 2θ:
(1 1 -1), 2θ = 23.3°, I 28.0
(1 1 1), 2θ = 23.5°, I 40.7
(1 0 -2), 2θ = 28.1°, I 28.0
********
To enter:
Leave a comment on this post with your email address. No email address, no entry. I won't go to your profile to look it up or accept any other form of contact. If you aren't comfortable leaving your email address in the comments, you can of course email your entry to me at but I ask that you please make the subject of the email "250 Followers Contest".
Extra entries:
+5 A theme in The Dark Divine is forgiveness. Tell me about a time it was difficult for you to forgive someone or post your opinion on why forgiveness is important.
+3 Fill out this survey. You must either use the same name as you're commenting under or include your email address for this to count towards your entry. I'd prefer if you include your email address in case more than one person with the same name fills it out. And you have to answer at least 3 questions, not counting name/email. Also, be honest!
+1 Become a follower through my Google Friend Connect widget. (If you follow through a feed reader such as Google Reader, that's fine, just let me know in your comment.)
+2 Current followers.
+1 Link to this post somewhere. You can do that in a blog post, in your blog sidebar, on Twitter, on a message board, whatever you can think of, but it only counts once per place. A sidebar link and a blog post link do, however, count as seperate entries. Leave a link to that here or it won't count.
Remember, you do not have to do any of the extra entries if you don't want to. You only need to either leave me a comment with your email address or and email me your address to enter. That's it. The rest is completely optional.
And please do try to keep it in one comment. Obviously if you forget something or need to change something in your entry, you can post again, but please don't comment once per entry as that fills up my inbox like crazy and makes me slightly crazy(er).
Quick recap:
Prize: 1st place - One copy of Shift by Rachel Vincent and a bottle of The Dark Divine nail polish. 2nd, 3rd, and 4th places - One bottle of nail polish each.
Open to: Everyone!
End date: 11:59pm, Thursday April 29th, 2010. I'll schedule a post for you guys in case I'm not here/exhausted because Thursdays are work days, so you know when it ends.
Okay, so I think that's everything. Thank you guys so much for following me and commenting and everything. You guys are awesome!
Peace and good luck cookies,